• Brief:
It remains to give back the data underneath without additions.
• Material:
........
<A>
The following is a DFT calculation (wB97M-V/def2-TZVPD) of a molecular structure, H6O3.

The geometry in ORCA input format:
```
! RIJCOSX wB97M-V def2-TZVPD def2/J DEFGRID3
* xyz 0 1
H -0.20990 0.29479 -0.34666
O -0.59295 1.59569 -0.46986
H -0.48891 2.40715 -0.96681
H 0.96208 -1.14634 0.17984
H 0.50685 -2.54521 0.53740
O 0.15257 -0.22918 0.36771
H -0.00039 0.29681 1.15268
O 1.19744 -2.06844 0.07698
H -1.52679 1.39473 -0.53128
*
```



<B>
The following is a DFT calculation (wB97M-V/def2-TZVPD) of 3 unconnected molecules or ions with the total composition H6O3.

The geometry in ORCA input format:
```
! RIJCOSX wB97M-V def2-TZVPD def2/J DEFGRID3
* xyz 0 1
O 21.30300 50.88300 13.67500
O 17.76800 50.52500 13.79400
H 18.04500 48.39900 13.72800
H 17.94700 50.66700 14.69900
H 21.57300 51.78300 13.42400
O 18.30900 47.59600 14.34700
H 18.53600 46.94400 13.82900
H 18.54300 50.69200 13.38500
H 21.37000 50.28500 12.86000
*
```

structure (SMILES)	O.O.O



Relative energy of each structure, in kcal/mol: <A> 32.7; <B> 0.0.



<A>
The following is a DFT calculation (wB97M-V/def2-TZVPD) of 40 unconnected molecules or ions with the total composition H80O40.

The geometry in ORCA input format:
```
! RIJCOSX wB97M-V def2-TZVPD def2/J DEFGRID3
* xyz 0 1
O -2.03857 0.47063 -0.64695
H -2.71502 2.18082 1.42852
O 4.82207 2.68357 -0.02672
H -2.48038 3.25762 3.46541
H -0.52116 -3.28800 0.62745
H -2.88516 2.69926 -0.43445
H 6.14346 -2.92631 1.13952
O -1.45926 -3.58924 0.88172
H -5.90988 2.73438 -0.05007
H 3.77894 0.56890 3.67069
H 2.13919 -5.46228 -1.42993
O 0.47586 0.41603 3.28747
O 4.18569 1.14330 -3.55826
O -2.48486 -1.20160 0.85289
H -0.94741 6.35014 0.83519
H 1.74888 3.94451 0.59902
H 2.42015 5.40932 -1.52014
H 4.50823 1.88022 -0.34334
O -5.33979 3.36331 0.37723
H 4.16121 1.78151 1.71837
O 5.61844 -3.73965 1.06617
H 0.54125 1.36030 -3.83432
O 2.42401 -5.10289 0.21660
H 4.24322 -0.39470 1.98433
O -2.06048 2.50851 -4.55795
H 4.20734 1.73469 -4.33922
O -4.75123 1.12521 -0.82294
O -1.73795 1.08068 5.66190
O -0.05147 1.84371 -3.24047
H -1.86426 1.90957 5.28875
H -3.46849 -3.07892 -2.41482
O 2.34758 1.98011 -1.50250
O 1.42313 3.82615 1.49933
H -2.75175 3.00652 -4.08723
O 0.07607 -2.97189 -3.48726
H 0.01057 -3.83368 -1.23967
H 0.56951 -2.11294 -3.70843
O -3.97174 3.22103 -2.91350
H 1.87649 -0.59355 -5.34043
H -3.57775 1.57388 2.73094
H -2.31481 -5.70601 -0.33483
H -2.97317 -1.80930 -2.04280
H 0.25610 0.41446 -2.35171
O 0.54885 -0.51321 -2.27552
H 3.91890 0.28294 -3.87968
O 0.14153 -3.69354 4.24054
H 0.69835 4.37485 1.85956
H -5.62489 0.98819 -1.16070
O 3.87594 2.22082 2.61060
H -1.72423 -4.09113 0.05674
H -0.46595 -4.39984 4.00007
H -4.30113 5.05510 -0.19337
H 3.32226 2.97706 2.44869
H 1.15584 -4.76700 -2.49270
H -0.83361 0.90629 5.47442
O 0.74170 -3.30572 -0.95654
O -1.37895 6.24504 1.65590
O -2.00883 -2.25738 4.09904
H 2.49385 -2.48078 -2.60634
H -3.99796 0.65452 -4.46678
H -4.74925 2.90952 0.90225
H -1.26813 0.02380 -0.42795
O -2.03269 3.24158 -0.12916
H 3.80430 -1.50446 -2.52227
O -1.56393 -5.53379 -0.95165
H 0.35231 -1.15923 -1.60590
O 1.32974 -0.37449 -4.61748
H 4.69764 -3.71309 0.91769
H -4.21884 -1.68139 3.94933
H -2.57824 -2.05652 0.41702
H 5.19276 -3.21278 -1.69847
H 3.00202 -0.32611 1.14589
O -3.55052 -2.51019 -1.64371
H -1.52681 5.27747 1.86929
O 3.11272 -3.64296 2.55714
H 1.24077 6.44871 -2.09412
H 1.90929 -0.55542 -3.84427
O 1.71783 5.66728 -2.05341
H 1.47427 -2.42772 1.52262
H -4.08755 5.13826 -1.71528
H -3.70182 3.28243 -1.96078
H 2.44379 -5.69745 1.04970
H 0.01019 -3.23501 3.37965
H 2.96816 1.05755 4.92303
O -3.44887 2.28090 2.11406
H -4.30035 1.11260 -1.70078
H -0.05304 1.10874 2.92675
H 0.54444 -3.49043 -4.16100
H -3.14881 0.39845 -3.35908
O 2.84553 -1.58635 -2.57532
H -4.95779 2.98237 -2.99138
O 5.73159 -2.67359 -2.22330
O 3.94393 -0.12526 1.11702
H 2.38312 2.85780 -1.91679
O -2.15002 3.73657 4.17805
H -1.17801 -1.85715 4.11370
O -4.12510 0.69030 -3.49187
H -2.02451 -3.17099 4.09126
H 0.17810 -1.35234 2.06965
........
• Worked solution:
<A>
The following is a DFT calculation (wB97M-V/def2-TZVPD) of a molecular structure, H6O3.

The geometry in ORCA input format:
```
! RIJCOSX wB97M-V def2-TZVPD def2/J DEFGRID3
* xyz 0 1
H -0.20990 0.29479 -0.34666
O -0.59295 1.59569 -0.46986
H -0.48891 2.40715 -0.96681
H 0.96208 -1.14634 0.17984
H 0.50685 -2.54521 0.53740
O 0.15257 -0.22918 0.36771
H -0.00039 0.29681 1.15268
O 1.19744 -2.06844 0.07698
H -1.52679 1.39473 -0.53128
*
```



<B>
The following is a DFT calculation (wB97M-V/def2-TZVPD) of 3 unconnected molecules or ions with the total composition H6O3.

The geometry in ORCA input format:
```
! RIJCOSX wB97M-V def2-TZVPD def2/J DEFGRID3
* xyz 0 1
O 21.30300 50.88300 13.67500
O 17.76800 50.52500 13.79400
H 18.04500 48.39900 13.72800
H 17.94700 50.66700 14.69900
H 21.57300 51.78300 13.42400
O 18.30900 47.59600 14.34700
H 18.53600 46.94400 13.82900
H 18.54300 50.69200 13.38500
H 21.37000 50.28500 12.86000
*
```

structure (SMILES)	O.O.O



Relative energy of each structure, in kcal/mol: <A> 32.7; <B> 0.0.



<A>
The following is a DFT calculation (wB97M-V/def2-TZVPD) of 40 unconnected molecules or ions with the total composition H80O40.

The geometry in ORCA input format:
```
! RIJCOSX wB97M-V def2-TZVPD def2/J DEFGRID3
* xyz 0 1
O -2.03857 0.47063 -0.64695
H -2.71502 2.18082 1.42852
O 4.82207 2.68357 -0.02672
H -2.48038 3.25762 3.46541
H -0.52116 -3.28800 0.62745
H -2.88516 2.69926 -0.43445
H 6.14346 -2.92631 1.13952
O -1.45926 -3.58924 0.88172
H -5.90988 2.73438 -0.05007
H 3.77894 0.56890 3.67069
H 2.13919 -5.46228 -1.42993
O 0.47586 0.41603 3.28747
O 4.18569 1.14330 -3.55826
O -2.48486 -1.20160 0.85289
H -0.94741 6.35014 0.83519
H 1.74888 3.94451 0.59902
H 2.42015 5.40932 -1.52014
H 4.50823 1.88022 -0.34334
O -5.33979 3.36331 0.37723
H 4.16121 1.78151 1.71837
O 5.61844 -3.73965 1.06617
H 0.54125 1.36030 -3.83432
O 2.42401 -5.10289 0.21660
H 4.24322 -0.39470 1.98433
O -2.06048 2.50851 -4.55795
H 4.20734 1.73469 -4.33922
O -4.75123 1.12521 -0.82294
O -1.73795 1.08068 5.66190
O -0.05147 1.84371 -3.24047
H -1.86426 1.90957 5.28875
H -3.46849 -3.07892 -2.41482
O 2.34758 1.98011 -1.50250
O 1.42313 3.82615 1.49933
H -2.75175 3.00652 -4.08723
O 0.07607 -2.97189 -3.48726
H 0.01057 -3.83368 -1.23967
H 0.56951 -2.11294 -3.70843
O -3.97174 3.22103 -2.91350
H 1.87649 -0.59355 -5.34043
H -3.57775 1.57388 2.73094
H -2.31481 -5.70601 -0.33483
H -2.97317 -1.80930 -2.04280
H 0.25610 0.41446 -2.35171
O 0.54885 -0.51321 -2.27552
H 3.91890 0.28294 -3.87968
O 0.14153 -3.69354 4.24054
H 0.69835 4.37485 1.85956
H -5.62489 0.98819 -1.16070
O 3.87594 2.22082 2.61060
H -1.72423 -4.09113 0.05674
H -0.46595 -4.39984 4.00007
H -4.30113 5.05510 -0.19337
H 3.32226 2.97706 2.44869
H 1.15584 -4.76700 -2.49270
H -0.83361 0.90629 5.47442
O 0.74170 -3.30572 -0.95654
O -1.37895 6.24504 1.65590
O -2.00883 -2.25738 4.09904
H 2.49385 -2.48078 -2.60634
H -3.99796 0.65452 -4.46678
H -4.74925 2.90952 0.90225
H -1.26813 0.02380 -0.42795
O -2.03269 3.24158 -0.12916
H 3.80430 -1.50446 -2.52227
O -1.56393 -5.53379 -0.95165
H 0.35231 -1.15923 -1.60590
O 1.32974 -0.37449 -4.61748
H 4.69764 -3.71309 0.91769
H -4.21884 -1.68139 3.94933
H -2.57824 -2.05652 0.41702
H 5.19276 -3.21278 -1.69847
H 3.00202 -0.32611 1.14589
O -3.55052 -2.51019 -1.64371
H -1.52681 5.27747 1.86929
O 3.11272 -3.64296 2.55714
H 1.24077 6.44871 -2.09412
H 1.90929 -0.55542 -3.84427
O 1.71783 5.66728 -2.05341
H 1.47427 -2.42772 1.52262
H -4.08755 5.13826 -1.71528
H -3.70182 3.28243 -1.96078
H 2.44379 -5.69745 1.04970
H 0.01019 -3.23501 3.37965
H 2.96816 1.05755 4.92303
O -3.44887 2.28090 2.11406
H -4.30035 1.11260 -1.70078
H -0.05304 1.10874 2.92675
H 0.54444 -3.49043 -4.16100
H -3.14881 0.39845 -3.35908
O 2.84553 -1.58635 -2.57532
H -4.95779 2.98237 -2.99138
O 5.73159 -2.67359 -2.22330
O 3.94393 -0.12526 1.11702
H 2.38312 2.85780 -1.91679
O -2.15002 3.73657 4.17805
H -1.17801 -1.85715 4.11370
O -4.12510 0.69030 -3.49187
H -2.02451 -3.17099 4.09126
H 0.17810 -1.35234 2.06965